**** Nicole's P.O.V. ****
Once we got back to the bus everyone flopped down on the couch. The bus driver started to pull away from the arena towards McDonalds.
"So babe how did you like the concert?" Harry asks sitting down next to me.
"I had fun. You guys were awesome." I exclaim.
[The entry is interrupted by quantum chemistry results]
********
ORCA calculation (ωB97M-V/def2-TZVPD) on the molecule C5H11NOS in a non-equilibrium geometry.

The total charge is 0. As for the LUMO energy: 0.8 eV. For the energy above the lowest of the compared OMol25 structures with the same formula, charge and spin, the calculation gives 55.25 kcal per mole. The spin multiplicity is 1. The SMILES is C=NSCOC(C)C. As for the HOMO energy: -8.89 eV.

Positions of all 19 atoms, in Å:
H (-0.421, -0.613, -1.379)
C (0.187, 1.809, -0.337)
H (-2.603, 0.327, 0.612)
S (1.698, 1.250, 0.441)
H (3.358, -1.705, -0.615)
C (-1.560, 0.181, 0.325)
O (-1.045, 1.492, 0.296)
H (0.201, 2.908, -0.353)
H (-0.917, -0.341, 2.346)
C (-1.464, -0.459, -1.069)
H (0.105, -1.014, 1.022)
H (0.184, 1.400, -1.376)
H (3.696, -0.471, 0.695)
H (-1.500, -1.674, 1.321)
N (1.919, -0.240, -0.395)
H (-1.951, -1.447, -1.021)
C (-0.905, -0.741, 1.353)
C (3.003, -0.816, -0.049)
H (-1.986, 0.154, -1.817)

Forces on atoms 1 to 6 (eV/Å):
H -0.3 0.0 0.2
C -1.2 -0.5 -0.6
H 0.0 0.0 -0.1
S -0.1 -0.1 0.0
H -0.6 0.4 0.4
C 0.6 -0.7 -0.7

ORCA calculation (ωB97M-V/def2-TZVPD) on the molecule C5H11NOS in a non-equilibrium geometry.

The total charge is 0. As for the LUMO energy: 0.3 eV. For the energy above the lowest of the compared OMol25 structures with the same formula, charge and spin, the calculation gives 126.91 kcal per mole. The spin multiplicity is 1. The SMILES is C[C@H](O)[C@H](C)NC=S. As for the HOMO energy: -8.51 eV.

Positions of all 19 atoms, in Å:
H (-1.139, -1.688, 1.743)
H (0.770, 0.939, 1.842)
H (0.387, 1.779, -1.781)
H (-0.188, -2.883, 0.321)
H (0.787, -1.405, 1.271)
S (2.393, -0.472, -0.937)
C (-0.550, 1.895, -0.991)
O (-0.691, -1.281, -1.627)
C (-0.379, -1.725, 0.902)
C (2.003, 0.260, 0.547)
C (-0.573, 0.648, 0.085)
H (-2.188, -0.784, -0.098)
H (2.824, 0.674, 1.230)
H (-1.457, 1.532, -1.650)
H (0.343, -1.652, -1.675)
H (-1.238, 1.019, 0.946)
C (-1.035, -0.691, -0.283)
H (-0.834, 3.097, -0.628)
N (0.765, 0.740, 0.782)

Forces on atoms 1 to 6 (eV/Å):
H 1.2 -0.6 -0.8
H -0.9 0.1 -2.3
H -2.3 0.6 2.5
H -1.1 3.5 2.1
H -4.0 -1.2 -1.0
S 0.2 0.4 1.7

ORCA calculation (ωB97M-V/def2-TZVPD) on the molecule C5H11NOS in a non-equilibrium geometry.

The total charge is 0. As for the LUMO energy: 0.7 eV. For the energy above the lowest of the compared OMol25 structures with the same formula, charge and spin, the calculation gives 33.20 kcal per mole. The spin multiplicity is 1. The SMILES is CSCC[C@H](N)C=O. As for the HOMO energy: -8.71 eV.

Positions of all 19 atoms, in Å:
H (-0.876, 0.119, -1.684)
H (-0.296, 1.137, 0.394)
C (-2.074, -1.173, 1.291)
H (-2.452, -1.954, 0.628)
H (1.159, -2.376, 0.239)
S (-0.388, -1.497, 1.823)
C (0.499, -1.515, 0.252)
H (-0.565, 1.677, -1.992)
O (2.421, 2.341, -0.053)
C (1.295, -0.244, 0.004)
H (-2.143, -0.221, 0.763)
H (0.725, 3.086, -0.851)
N (-0.133, 0.805, -1.710)
H (-2.714, -1.150, 2.170)
C (1.292, 2.225, -0.429)
C (0.466, 0.952, -0.381)
H (-0.146, -1.762, -0.538)
H (2.004, -0.379, -0.799)
H (1.925, -0.072, 0.873)
********
[End of the quantum chemistry results]
"I heard the word awesome and here I am!" Zayn exclaims sitting down next to me.
"Haha very funny but if anyone is awesome it's me!" I reply turning my hat, well Niall's hat, backwards.
"WE'RE HERE!!!" Niall yells running towards the door.
"Kool I'm starving!" I reply getting up with Harry.
"Hey Nicole can I talk to you?" Louis asks already pulling me over to the side.
"Yeah. What's up?" I ask confused.
"What's wrong with your wrist? Don't lie to me either. Niall and I saw you wince when you hit it." He says serious.
"I... Its been hurting ever since we got on the bus." I respond looking down.
He carefully grabs my wrist and takes off the splint. On the spot where it broke it turned black and blue.
"Oh my god. We need to take you to the hospital. I'm going to get Har-" he says but I cut him off.
"No. We can't tell Harry or Zayn. They get to scared. Please keep this between me, you and Niall." I plead.
"Ok but when we have a free day we're going." He states.
I quickly put my splint back on and head over to where the rest of the boys are.
"Hey babe everything alright?" Harry asks when I sit down.
"Errr yeah. Everything's fine." I say grabbing some fries and quickly eating them.
"Hey guys sorry it took me so long." Mary says walking towards us with a small suit case.
"Hey its all good. We just got here. Uhh is that all you brought with you?" I ask pointing towards her suitcase.
"Errrr yeah." She replies sitting down.
"Oh you poor child. I am taking you shopping." I say leaning back on Harry's chest.
"You don't have to do that. Really. I'm ok really." She replies shaking her head.
"Yes I'm taking you. Zayn when are Perrie and Elenour coming?" I ask.
"Umm we are meeting them at the airport tomorrow. Why?" He asks confused.
"Because I need girl time. And we are going shopping." I squeal at the thought of hanging out with them.
Last time we had a girls day I ended up with purple streaks in my blonde hair. That was a fun day.
"OMG I TOTALLY FORGOT!!" I yell forgetting about my sister.
"What's wrong?" Louis asks eating the rest of his burger.
"I was umm thinking if maybe.. My sister can come with us on tour for a little while??" I ask with puppy dog eyes.
After a lot of begging, mostly towards Liam, everyone agreed to let Emily come with us.
(On the bus.)
"Err guys we have a problem." I yell from the buncks.
"What's wrong?" Zayn asks when everyone runs in.

Softball... Meeting Harry Styles!
FanfictionNicole was a normal college student that loved to play softball! What happens when she runs into Harry Styles at her game? Or when she finds out something interesting about her birth parents? Find out in Softball... Meeting Harry Styles!